Burglaries on the Increase?

An article in today’s Sunday Telegram cites evidence that home burglaries are on the rise in Cumberland County. The county Sheriff’s Department says they investigated 54 burglaries from December to February, double that of last year.

While we haven’t yet seen an increase in burglary claims this year, it’s always a good idea to be vigilant and to take measures to keep your home safe.

Here are some suggestions from the Cumberland County Sheriff’s Office.

  • Be sure your outdoor lighting illuminates all entrances to your home.
  • Cut back shrubbery to discourage burglars from hiding near window and doors.
  • Keep windows and doors locked at all times. Make certain your garage door is closed and locked.
  • Install a peephole in your front door.
  • Windows and sliding glass doors should be secured with auxiliary locks. Special door pins, available at home improvement stores, can prevent your sliding doors from being lifted from their tracks during a burglary attempt.
  • Deadbolt locks should be used on all exterior doors (single or double cylinder with a minimum one inch throw is recommended).
  • Never hide or store keys or tools outside.

The Sheriff’s Department also offers these hints if you’re planning to be away from home for an extended period:

  • Let trusted friends and neighbors know that you’ll be away.
  • Make your home appear occupied. Attach timers to lights and television sets and set them to turn on and off at different times.
  • Have your newspaper and mail held, or picked up by a friend or neighbor.
  • Disconnect automatic garage door openers.
  • Open some of the drapes or blinds on your windows. During daytime hours, it gives the appearance that someone is home, and during the evening, lights inside the house are more visible.

Molecular data that have nothing to do with the piece:
........
Model A:
22
Properties=species:S:1:pos:R:3:mulliken_charge:R:1 method="wB97M-V/def2-TZVPD" gap_ev=9.871
C 1.421 1.802 1.418 -1.20
C 0.019 1.198 1.300 -0.76
C -0.381 0.806 -0.100 0.58
N -0.330 1.970 -1.001 -0.60
C 0.428 -0.389 -0.607 -1.01
N -0.250 -1.633 -0.209 -0.21
C -1.047 -2.308 -1.186 -0.32
O -1.589 -3.491 -0.568 -0.58
H 1.481 2.854 1.143 0.36
H 1.696 1.688 2.464 0.35
H 2.186 1.247 0.878 0.29
H -0.602 1.882 1.856 0.31
H 0.077 0.319 1.952 0.36
H -1.411 0.465 -0.105 0.15
H 0.042 1.702 -1.900 0.23
H 0.183 2.752 -0.626 0.23
H 1.446 -0.441 -0.230 0.32
H 0.570 -0.428 -1.696 0.39
H 0.288 -2.265 0.359 0.23
H -1.929 -1.742 -1.486 0.26
H -0.437 -2.710 -1.989 0.31
H -1.862 -3.276 0.334 0.30

Model B:
22
Properties=species:S:1:pos:R:3:mulliken_charge:R:1 method="wB97M-V/def2-TZVPD" gap_ev=9.324
C 0.643 -1.806 2.262 -1.39
C 0.846 -1.532 0.802 0.25
O 2.253 -1.362 0.510 -0.57
C 0.171 -0.263 0.300 -0.59
N 0.045 -0.322 -1.134 -0.28
C -0.869 0.564 -1.843 -0.90
C -0.793 2.028 -1.425 -0.33
N -1.694 2.357 -0.343 -0.52
H 0.967 -0.926 2.813 0.31
H 1.246 -2.606 2.695 0.41
H -0.341 -2.144 2.490 0.36
H 0.521 -2.351 0.159 0.30
H 2.646 -2.244 0.509 0.32
H 0.807 0.594 0.592 0.35
H -0.715 -0.111 0.911 0.26
H 0.921 -0.439 -1.603 0.24
H -0.652 0.357 -2.889 0.39
H -1.880 0.242 -1.613 0.39
H -0.957 2.733 -2.245 0.40
H 0.272 2.254 -1.207 0.26
H -1.748 1.648 0.364 0.16
H -1.686 3.329 -0.103 0.19

Relative calculated energies, zero for the most stable structure, unit kJ/mol: model A 0.0; model B 9.3.

* * * * *

(1)
........

Myth Buster: “Most Ticketed Vehicle List” Full of Surprises

If you had to guess what kind of vehicle is most likely to tickets, what would you choose? A flashy sports car like Ford’s Mustang or the Porsche 911? A “pocket rocket” like the VW GTI that attracts a younger buyer? Guess again.

According to ISO’s Quality Planning Corporation‘ s recent study, The Hummer H2/H3 actually leads the pack. Why? That’s the subject of great debate. Is it that Hummers attract a buyer who’s independent and “type A”? Does the stance of the vehicle itself change the way drivers interact with traffic and roads? Who knows. But Hummers are over 450% more likely to be ticketed than the average vehicle.

Rounding out the top 10 are three Scion models, the Toyota Solara and Matrix, all of which appeal primarily to younger drivers, and a couple of the higher powered Mercedes models. Another surprise is the Subaru Outback Station Wagon, over 2.5 times more likely to be ticketed than the average vehicle.

So which vehicles are the least likely to be ticketed? Well, some are not surprising: three Buicks and an Olds make the bottom 10. Interestingly, some other SUVs and a few pickups make the “least ticketed” list: Chevy’s Suburban, Tahoe and CK pickup, and the GMC Sierra. Each of these is less than half as likely to get a ticket as the average vehicle. The absolute least likely: another surprise – theJaguar XJ sedan.

The study compared a vehicle’s violation count per 100,000 miles driven for a one year period from 2007 to 2008.

Complaint Dept. – Who’s Your Insurance Advocate?

Almost 200,000 consumer complaints were filed with U.S. insurance departments in 2008, according to data released today by the National Association of Insurance Commissioners (NAIC).

Not surprisingly, claim handling generates the highest number of complaints. Perceived delays in handling claims are historically the top consumer complaint, followed by denial of a claim, and an unsatisfactory settlement or offer. 2008 was no different.

Claims Leads the Charge
While the complaint reasons remained the same over the past three years, NAIC data indicates that 5300 fewer claim complaints were filed in 2008 than 2007. Underwriting complaints (premium and cancellation) also decreased for the third consecutive year. Policy service (questions, billing, etc.) generated relatively few complaints, indicating that most insurance customers were able to get their routine questions answered satisfactorily.

Medical Insurance Generates Most Complaints
Health insurance was once again the most common type of coverage people complained about, followed by auto and homeowners insurance. Homeowners policy complaints decreased by 13,500 from 2006 to 2008, reflecting less underwriting turbulence in the property market.

What does this mean?
The way we see it, the NAIC report reinforces the value of a local independent agent, one who knows you and can advocate and advise clients on all aspects of their insurance, from claims to underwriting to service.

Who’s in Your Corner?
An independent agency like Noyes Hall & Allen can provide advice in a different way than an agent who’s an insurance company employee (direct writer), or one who represents only one company (captive agent). And, of course, being able to sit across the table from your agent, instead of talking to the next representative in queue at a remote call center is inherently more valuable.

If you have any questions about your insurance, we’re here to help!

Name Your Price? We Help You Do that Every Day.

Progressive Insurance, the nation’s 4th largest auto insurer, recently introduced “Name Your Price®” auto insurance on their web site. In ads featuring Flo, their quirky shopgirl spokesowman, the company hopes to connect with consumers’ desire to control their expenses in today’s economy.

In Progressive’s press release, spokesman Dale Willis said “Drivers want to customize their car insurance so they get the best possible coverage at a price that’s right for them, especially in times of economic uncertainty.”

The program is available in 16 states (not Maine). A countrywide rollout is planned for this year.

We respect Progressive’s culture of innovation. They are the Bill James of insurance: experts at analyzing data in new ways to find the right premium for virtually any risk. In fact, we have offered Progressive products to our clients for decades. They also sell directly to shoppers through their Progressive Direct brand.

What About Coverage?
Naming your own price sounds good – maybe too good. The problem: it’s easy to forget why you wanted to buy insurance in the first place: to protect your assets.

Insurance isn’t like shopping at the mall. There are no “sales”, and prices don’t magically drop. Every premium reduction is funded by a decrease in coverage or increase in deductible.

Who’s Advising You?
Tough economic times may motivate you to reduce your expenses. It’s not only smart; it’s necessary. There’s certainly no shame in trying to save money. Clients call us all the time with that goal in mind. We help them decide what changes to make to meet their budget – in effect to “name their price”. The difference is, we explain to them how their choices affect their coverage.

Who’s advising those Progressive shoppers when they “name their price”? So far, Progressive has chosen to offer this option on their “Progressive Direct” web site, not through local independent agents like Noyes Hall & Allen.

Although Progressive employs agents in their call centers to handle shoppers’ questions, the shopper has to request that contact. Most people are likely to avoid that – and make decisions on their own. Even if they do choose to speak with a Progressive Direct agent, the agent has no knowledge of the online shopper, their circumstances, or the area where they live. And, if the shopper has any follow up questions, they’re unlikely to speak with the same agent again.

We think it’s better to deal with a local insurance advisor – someone who can get to know you; the same person you can speak with any time you have questions. For information about how you can save money on your insurance, contact us today.

11 More NH&A Clients are Heating Assistance Winners!

As the long winter of 2008-09 rolls on, 11 more Noyes Hall & Allen clients were winners in the February’s drawing of Concord Group’s A Warm Hand heat lottery. Combined with December and January’s drawings, Noyes Hall & Allen clients have received $3,700 worth of oil, gas or other heating fuel assistance, courtesy of Concord Group.

We know that many people struggle with paying winter heating bills. We have seen cases where using space heaters, wood stoves and other alternate heating methods have caused fires. We hope that this fuel assistance program will help to reduce these fires.

More good news! It’s not too late to sign up! Concord’s last drawing takes place the 15th of March. If your homeowners policy was provided by Concord Group on October 31, 2008, you’re eligible. Sign up today!

Good luck!

Maine Ins. Commissioner: Consider Flood Insurance

Two days after this post on our blog, Maine’s Insurance Superintendent, Mila Kofman, echoed our recommendation to consider flood insurance, especially following this winter’s heavy snowfall.

Her bulletin points out that “now is the time for home and business owners to seriously consider the advantages of flood insurance”. She further points out that 9 of 11 federal disaster declarations in Maine from 2000 to 2008 involved spring flooding, and that the damages “impacted every county in Maine on multiple occasions”.

Don’t forget that flood damage is not covered by homeowners or standard business policies, and that the National Flood Insurance Program has a mandatory 30 day waiting period before coverage takes effect (unless it’s a new property purchase). Now really IS the time to think about protecting your property.

For more information about flood coverage, visit the Bureau of Insurance’s flood information page, read our February 18 blog post, or contact us via our web site, or on Twitter.